-- Listing --
- - -
Below is an optimized crystal structure of H4Os3C10O9, with properties calculated at the PBE-GGA level.

For the total energy, the calculation gives -790.50 eV for the cell shown. The volume comes out at 15.09 A^3/atom. For the energy relative to the elements, the calculation gives -759.1 meV/atom.

The structure in CIF format:
```
data_H4Os3C10O9
_cell_length_a 9.383
_cell_length_b 11.600
_cell_length_c 15.624
_cell_angle_alpha 68.70
_cell_angle_beta 84.34
_cell_angle_gamma 82.63
_space_group_name_H-M_alt 'P -1'
_space_group_IT_number 2
_space_group_name_Hall '-P 1'
loop_
_atom_site_label
_atom_site_fract_x
_atom_site_fract_y
_atom_site_fract_z
_atom_site_occupancy
H1 0.019 0.150 0.195 1
H2 0.077 0.909 0.003 1
H3 0.172 0.998 0.759 1
H4 0.237 0.772 0.838 1
H5 0.344 0.382 0.287 1
H6 0.397 0.678 0.678 1
H7 0.414 0.208 0.431 1
H8 0.431 0.507 0.454 1
Os1 0.012 0.998 0.185 1
Os2 0.067 0.736 0.908 1
Os3 0.273 0.340 0.407 1
Os4 0.289 0.911 0.854 1
Os5 0.422 0.728 0.552 1
Os6 0.495 0.475 0.279 1
C1 0.003 0.160 0.824 1
C2 0.061 0.625 0.839 1
C3 0.071 0.932 0.312 1
C4 0.094 0.896 0.937 1
C5 0.112 0.301 0.024 1
C6 0.137 0.483 0.379 1
C7 0.157 0.234 0.376 1
C8 0.164 0.618 0.010 1
C9 0.203 0.003 0.130 1
C10 0.208 0.280 0.534 1
C11 0.251 0.663 0.543 1
C12 0.326 0.886 0.556 1
C13 0.340 0.060 0.863 1
C14 0.345 0.437 0.724 1
C15 0.378 0.628 0.232 1
C16 0.403 0.811 0.955 1
C17 0.439 0.439 0.419 1
C18 0.440 0.909 0.759 1
C19 0.457 0.780 0.422 1
C20 0.465 0.545 0.840 1
O1 0.014 0.253 0.833 1
O2 0.056 0.562 0.797 1
O3 0.060 0.575 0.361 1
O4 0.082 0.173 0.359 1
O5 0.108 0.891 0.387 1
O6 0.148 0.622 0.537 1
O7 0.174 0.241 0.612 1
O8 0.218 0.326 0.979 1
O9 0.220 0.548 0.075 1
O10 0.250 0.385 0.721 1
O11 0.266 0.980 0.558 1
O12 0.306 0.722 0.205 1
O13 0.318 0.011 0.095 1
O14 0.369 0.151 0.869 1
O15 0.443 0.557 0.911 1
O16 0.465 0.093 0.294 1
O17 0.468 0.749 0.018 1
O18 0.478 0.807 0.343 1
```


This record from Materials Project describes K10Ge18WO4 after structural relaxation. The functional is PBE with a Hubbard U.

* SG: No. 14

abc: 14.185 15.975 17.763
angles: 90.00 90.48 90.00
Positions (direct):
K: 0.359 0.256 0.890
K: 0.641 0.756 0.610
K: 0.641 0.744 0.110
K: 0.359 0.244 0.390
K: 0.628 0.398 0.836
K: 0.372 0.898 0.664
K: 0.372 0.602 0.164
K: 0.628 0.102 0.336
K: 0.254 0.499 0.979
K: 0.746 0.999 0.521
K: 0.746 0.501 0.021
K: 0.254 0.001 0.479
K: 0.288 0.681 0.538
K: 0.712 0.181 0.962
K: 0.712 0.319 0.462
K: 0.288 0.819 0.038
K: 0.214 0.236 0.618
K: 0.786 0.736 0.882
K: 0.786 0.764 0.382
K: 0.214 0.264 0.118
K: 0.475 0.019 0.893
K: 0.525 0.519 0.607
K: 0.525 0.981 0.107
K: 0.475 0.481 0.393
K: 0.179 0.056 0.812
K: 0.821 0.556 0.688
K: 0.821 0.944 0.188
K: 0.179 0.444 0.312
K: 0.272 0.476 0.710
K: 0.728 0.976 0.790
K: 0.728 0.524 0.290
K: 0.272 0.024 0.210
K: 0.065 0.623 0.859
K: 0.935 0.123 0.641
K: 0.935 0.377 0.141
K: 0.065 0.877 0.359
K: 0.004 0.403 0.567
K: 0.996 0.903 0.933
K: 0.996 0.597 0.433
K: 0.004 0.097 0.067
Ge: 0.690 0.154 0.658
Ge: 0.310 0.654 0.842
Ge: 0.310 0.846 0.342
Ge: 0.690 0.346 0.158
Ge: 0.583 0.162 0.537
Ge: 0.417 0.662 0.963
Ge: 0.417 0.838 0.463
Ge: 0.583 0.338 0.037
Ge: 0.544 0.054 0.652
Ge: 0.456 0.554 0.848
Ge: 0.456 0.946 0.348
Ge: 0.544 0.446 0.152
Ge: 0.570 0.184 0.765
Ge: 0.430 0.684 0.735
Ge: 0.430 0.816 0.235
Ge: 0.570 0.316 0.265
Ge: 0.615 0.301 0.653
Ge: 0.385 0.801 0.847
Ge: 0.385 0.699 0.347
Ge: 0.615 0.199 0.153
Ge: 0.412 0.130 0.572
Ge: 0.588 0.630 0.928
Ge: 0.588 0.870 0.428
Ge: 0.412 0.370 0.072
Ge: 0.404 0.131 0.719
Ge: 0.596 0.631 0.781
Ge: 0.596 0.869 0.281
Ge: 0.404 0.369 0.219
Ge: 0.445 0.292 0.708
Ge: 0.555 0.792 0.792
Ge: 0.555 0.708 0.292
Ge: 0.445 0.208 0.208
Ge: 0.470 0.288 0.562
Ge: 0.530 0.788 0.938
Ge: 0.530 0.712 0.438
Ge: 0.470 0.212 0.062
Ge: 0.052 0.679 0.635
Ge: 0.948 0.179 0.865
Ge: 0.948 0.321 0.365
Ge: 0.052 0.821 0.135
Ge: 0.083 0.259 0.939
Ge: 0.917 0.759 0.561
Ge: 0.917 0.741 0.061
Ge: 0.083 0.241 0.439
Ge: 0.100 0.807 0.551
Ge: 0.900 0.307 0.949
Ge: 0.900 0.193 0.449
- - -

-- Brief --
Reproduce the whole of the material above without altering anything.

-- Response --
Below is an optimized crystal structure of H4Os3C10O9, with properties calculated at the PBE-GGA level.

For the total energy, the calculation gives -790.50 eV for the cell shown. The volume comes out at 15.09 A^3/atom. For the energy relative to the elements, the calculation gives -759.1 meV/atom.

The structure in CIF format:
```
data_H4Os3C10O9
_cell_length_a 9.383
_cell_length_b 11.600
_cell_length_c 15.624
_cell_angle_alpha 68.70
_cell_angle_beta 84.34
_cell_angle_gamma 82.63
_space_group_name_H-M_alt 'P -1'
_space_group_IT_number 2
_space_group_name_Hall '-P 1'
loop_
_atom_site_label
_atom_site_fract_x
_atom_site_fract_y
_atom_site_fract_z
_atom_site_occupancy
H1 0.019 0.150 0.195 1
H2 0.077 0.909 0.003 1
H3 0.172 0.998 0.759 1
H4 0.237 0.772 0.838 1
H5 0.344 0.382 0.287 1
H6 0.397 0.678 0.678 1
H7 0.414 0.208 0.431 1
H8 0.431 0.507 0.454 1
Os1 0.012 0.998 0.185 1
Os2 0.067 0.736 0.908 1
Os3 0.273 0.340 0.407 1
Os4 0.289 0.911 0.854 1
Os5 0.422 0.728 0.552 1
Os6 0.495 0.475 0.279 1
C1 0.003 0.160 0.824 1
C2 0.061 0.625 0.839 1
C3 0.071 0.932 0.312 1
C4 0.094 0.896 0.937 1
C5 0.112 0.301 0.024 1
C6 0.137 0.483 0.379 1
C7 0.157 0.234 0.376 1
C8 0.164 0.618 0.010 1
C9 0.203 0.003 0.130 1
C10 0.208 0.280 0.534 1
C11 0.251 0.663 0.543 1
C12 0.326 0.886 0.556 1
C13 0.340 0.060 0.863 1
C14 0.345 0.437 0.724 1
C15 0.378 0.628 0.232 1
C16 0.403 0.811 0.955 1
C17 0.439 0.439 0.419 1
C18 0.440 0.909 0.759 1
C19 0.457 0.780 0.422 1
C20 0.465 0.545 0.840 1
O1 0.014 0.253 0.833 1
O2 0.056 0.562 0.797 1
O3 0.060 0.575 0.361 1
O4 0.082 0.173 0.359 1
O5 0.108 0.891 0.387 1
O6 0.148 0.622 0.537 1
O7 0.174 0.241 0.612 1
O8 0.218 0.326 0.979 1
O9 0.220 0.548 0.075 1
O10 0.250 0.385 0.721 1
O11 0.266 0.980 0.558 1
O12 0.306 0.722 0.205 1
O13 0.318 0.011 0.095 1
O14 0.369 0.151 0.869 1
O15 0.443 0.557 0.911 1
O16 0.465 0.093 0.294 1
O17 0.468 0.749 0.018 1
O18 0.478 0.807 0.343 1
```


This record from Materials Project describes K10Ge18WO4 after structural relaxation. The functional is PBE with a Hubbard U.

* SG: No. 14

abc: 14.185 15.975 17.763
angles: 90.00 90.48 90.00
Positions (direct):
K: 0.359 0.256 0.890
K: 0.641 0.756 0.610
K: 0.641 0.744 0.110
K: 0.359 0.244 0.390
K: 0.628 0.398 0.836
K: 0.372 0.898 0.664
K: 0.372 0.602 0.164
K: 0.628 0.102 0.336
K: 0.254 0.499 0.979
K: 0.746 0.999 0.521
K: 0.746 0.501 0.021
K: 0.254 0.001 0.479
K: 0.288 0.681 0.538
K: 0.712 0.181 0.962
K: 0.712 0.319 0.462
K: 0.288 0.819 0.038
K: 0.214 0.236 0.618
K: 0.786 0.736 0.882
K: 0.786 0.764 0.382
K: 0.214 0.264 0.118
K: 0.475 0.019 0.893
K: 0.525 0.519 0.607
K: 0.525 0.981 0.107
K: 0.475 0.481 0.393
K: 0.179 0.056 0.812
K: 0.821 0.556 0.688
K: 0.821 0.944 0.188
K: 0.179 0.444 0.312
K: 0.272 0.476 0.710
K: 0.728 0.976 0.790
K: 0.728 0.524 0.290
K: 0.272 0.024 0.210
K: 0.065 0.623 0.859
K: 0.935 0.123 0.641
K: 0.935 0.377 0.141
K: 0.065 0.877 0.359
K: 0.004 0.403 0.567
K: 0.996 0.903 0.933
K: 0.996 0.597 0.433
K: 0.004 0.097 0.067
Ge: 0.690 0.154 0.658
Ge: 0.310 0.654 0.842
Ge: 0.310 0.846 0.342
Ge: 0.690 0.346 0.158
Ge: 0.583 0.162 0.537
Ge: 0.417 0.662 0.963
Ge: 0.417 0.838 0.463
Ge: 0.583 0.338 0.037
Ge: 0.544 0.054 0.652
Ge: 0.456 0.554 0.848
Ge: 0.456 0.946 0.348
Ge: 0.544 0.446 0.152
Ge: 0.570 0.184 0.765
Ge: 0.430 0.684 0.735
Ge: 0.430 0.816 0.235
Ge: 0.570 0.316 0.265
Ge: 0.615 0.301 0.653
Ge: 0.385 0.801 0.847
Ge: 0.385 0.699 0.347
Ge: 0.615 0.199 0.153
Ge: 0.412 0.130 0.572
Ge: 0.588 0.630 0.928
Ge: 0.588 0.870 0.428
Ge: 0.412 0.370 0.072
Ge: 0.404 0.131 0.719
Ge: 0.596 0.631 0.781
Ge: 0.596 0.869 0.281
Ge: 0.404 0.369 0.219
Ge: 0.445 0.292 0.708
Ge: 0.555 0.792 0.792
Ge: 0.555 0.708 0.292
Ge: 0.445 0.208 0.208
Ge: 0.470 0.288 0.562
Ge: 0.530 0.788 0.938
Ge: 0.530 0.712 0.438
Ge: 0.470 0.212 0.062
Ge: 0.052 0.679 0.635
Ge: 0.948 0.179 0.865
Ge: 0.948 0.321 0.365
Ge: 0.052 0.821 0.135
Ge: 0.083 0.259 0.939
Ge: 0.917 0.759 0.561
Ge: 0.917 0.741 0.061
Ge: 0.083 0.241 0.439
Ge: 0.100 0.807 0.551
Ge: 0.900 0.307 0.949
Ge: 0.900 0.193 0.449